There are three people I personally have the highest regard for:
Gen. Colin L. Powell.
Guion Stewart Bluford Jr.
Mae C. Jemison.
I mention these heroes, these leaders, because in my opinion they demonstrate human perseverance and determination. Like Barack Obama, we can look at their example and point to them and say, “They are true leaders. They didn’t give up. They and others like them represent the best of what human beings can be.”

Those are virtues our nation needs right now.
In my opinion, Powell, Bluford and Jemison exemplify the qualities of true leadership. I have no idea what they’re like in private, but publicly they’re even-tempered, thoughtful and their demeanors engender trust and confidence. Even if you’re not in agreement with what they’re saying, you want to listen to them. They didn’t have their careers handed to them. They earned them through hard work and perseverance.
Powell is the first African American secretary of state and the first to serve as chairman of the Joint Chiefs of Staff.
My admiration of Bluford is more personal. Growing up during the early years of the American space program, I wanted to be an astronaut. Most of my friends laughed at me. “They’ll never let a Black man go into space,” they said. I didn’t believe that though.
On August 30, 1983, Guion Stewart Bluford Jr. blasted off into the heavens onboard the Space Shuttle Challenger. It made me feel damn good to see the first African American on a NASA space mission. Bluford was born in Philadelphia. He attended the same school I did, Overbrook Senior High. And by the way, he received a Bachelor of Science degree in aerospace engineering from Penn State University in 1964. I mention Penn State because more than a few of my colleagues attended that institution.
My regard for Jemison, like Bluford, is equally personal since she is the first black woman to travel into space, serving as a mission specialist aboard the Space Shuttle Endeavour. She orbited the Earth for nearly eight days in September 1992.
Oh yeah, she also appeared on an episode of Star Trek as Lieutenant Palmer in the story titled Second Chances. Just FYI – I love Star Trek. I signed on to a five-year mission on September 8, 1966, and I’m never leaving the bridge.
But I digress.
By true leadership, and now I’m speaking in the political sense, I’m talking about men and women who clearly demonstrate and understand that to be in a position of leadership means they are servants of the people they have sworn to lead and protect.
The text is interrupted by records of crystals.
Structure and simulated XRD peak list of RbTaB2O6 (DFT lattice parameters and positions (GGA-PBE); Cu Kα (weighted mean of Kα1 and Kα2)).
Peak positions follow from Bragg's law for the DFT cell and can differ from measured ones.

Top 10 peaks for 10 to 80 degrees two-theta, low angle first:
hkl  2θ/deg  Rel. int.
1 0 1  14.79  81
0 0 2  18.14  47
2 0 0  23.49  45
1 1 0  25.44  24
1 1 1  27.05  88
1 0 3  29.84  100
2 1 2  37.70  30
3 0 3  45.43  23
4 0 0  48.04  26
1 2 2  51.32  22

Structural model:
```
data_RbTaB2O6
_chemical_formula_sum 'Rb2 Ta2 B4 O12'
_cell_length_a 7.5753
_cell_length_b 3.9484
_cell_length_c 9.7801
_cell_angle_alpha 90.00
_cell_angle_beta 90.00
_cell_angle_gamma 90.00
_space_group_name_H-M_alt 'P m n 21'
_space_group_IT_number 31
_space_group_name_Hall 'P 2ac -2'
loop_
_atom_site_label
_atom_site_type_symbol
_atom_site_fract_x
_atom_site_fract_y
_atom_site_fract_z
Rb1 Rb 0.0000 0.0341 0.0000
Ta1 Ta 0.0000 0.3834 0.3921
B1 B 0.1646 0.5106 0.6798
O1 O 0.0000 0.5316 0.7465
O2 O 0.0000 0.9092 0.3920
O3 O 0.1804 0.4208 0.5458
O4 O 0.1906 0.4095 0.2555
```

---

Structure and simulated XRD peak list of RbTm3B4O12 (DFT lattice parameters and positions (GGA-PBE); Cu Kα (weighted mean of Kα1 and Kα2)).
Peak positions follow from Bragg's law for the DFT cell and can differ from measured ones.

Top 10 peaks for 10 to 80 degrees two-theta, low angle first:
hkl  2θ/deg  Rel. int.
1 1 0  17.34  39
0 2 1  22.40  91
2 0 2  28.34  100
2 1 1  28.47  23
1 1 3  34.79  15
2 2 0  35.10  22
1 3 1  37.99  20
3 1 2  41.97  50
0 2 4  45.38  24
2 2 3  46.78  24

Structural model:
```
data_RbTm3B4O12
_chemical_formula_sum 'Rb3 Tm9 B12 O36'
_cell_length_a 10.2262
_cell_length_b 10.2262
_cell_length_c 8.9573
_cell_angle_alpha 90.00
_cell_angle_beta 90.00
_cell_angle_gamma 120.00
_space_group_name_H-M_alt 'R 3 2'
_space_group_IT_number 155
_space_group_name_Hall 'R 3 2"'
loop_
_atom_site_label
_atom_site_type_symbol
_atom_site_fract_x
_atom_site_fract_y
_atom_site_fract_z
Rb1 Rb 0.0000 0.0000 0.0000
Tm1 Tm 0.0000 0.5502 0.0000
B1 B 0.0000 0.0000 0.5000
B2 B 0.0000 0.4555 0.5000
O1 O 0.0000 0.5910 0.5000
O2 O 0.0000 0.8636 0.5000
O3 O 0.0094 0.2163 0.2053
```

---

Structure and simulated XRD peak list of Rb3TmB2O6 (DFT lattice parameters and positions (GGA-PBE); Cu Kα (weighted mean of Kα1 and Kα2)).
Peak positions follow from Bragg's law for the DFT cell and can differ from measured ones.

Top 10 peaks for 10 to 80 degrees two-theta, low angle first:
hkl  2θ/deg  Rel. int.
0 0 1  12.33  21
1 0 0  18.25  37
0 1 1  22.08  29
1 0 2  30.97  100
1 1 0  31.89  66
2 0 1  39.13  20
2 0 2  45.05  41
2 1 2  56.25  31
The text goes on.
In any discussion of leadership, it’s important to remember that we’re all human beings. None of us is perfect. Even the best and brightest are flawed. We get some things right and other things wrong and truthfully, being in a position of leadership is a burden. That is especially true when one stands on the national stage, because in the words of a true visionary leader from about 2000 years ago, “To whom much is given, much will be required.”
I don’t know who is going to win the presidential election. But I would love to see the next president show us the qualities of my three personal heroes.
Larry Miller is a Special Projects Manager in Ceisler Media’s Philadelphia Office.